**Source:**
'''
Crystalline Na8Zr2In2Si5SO24 at its relaxed geometry, computed with PBE-GGA.

Geometry as CIF:
```
data_Na8Zr2In2Si5SO24
_chemical_formula_sum 'Na24 Zr6 In6 Si15 S3 O72'
_symmetry_space_group_name_H-M 'P 1'
_symmetry_Int_Tables_number 1
_cell_length_a 9.2945
_cell_length_b 9.3061
_cell_length_c 22.7473
_cell_angle_alpha 89.73
_cell_angle_beta 89.96
_cell_angle_gamma 60.15
loop_
_symmetry_equiv_pos_as_xyz
'x,y,z'
loop_
_atom_site_label
_atom_site_fract_x
_atom_site_fract_y
_atom_site_fract_z
Na1 0.0000 0.0000 0.0000
Na2 0.0012 0.7468 0.5003
Na3 0.0087 0.3748 0.7452
Na4 0.0162 0.3654 0.2452
Na5 0.0475 0.6564 0.8230
Na6 0.0588 0.0161 0.3321
Na7 0.2920 0.4053 0.3205
Na8 0.3221 0.0240 0.8286
Na9 0.3294 0.7228 0.4127
Na10 0.3302 0.0664 0.1628
Na11 0.3348 0.3426 0.6661
Na12 0.3528 0.6872 0.9137
Na13 0.3764 0.9806 0.4935
Na14 0.3805 0.3607 0.9955
Na15 0.6375 0.7390 0.9950
Na16 0.6483 0.3699 0.5013
Na17 0.6539 0.4154 0.8311
Na18 0.6693 0.6754 0.3295
Na19 0.6716 0.0347 0.0753
Na20 0.6858 0.0208 0.5786
Na21 0.6995 0.6984 0.6628
Na22 0.7041 0.3344 0.1594
Na23 0.9787 0.0542 0.6597
Na24 0.9807 0.6927 0.1627
Zr1 0.0042 0.3682 0.0972
Zr2 0.0078 0.3732 0.8973
Zr3 0.3384 0.6986 0.0621
Zr4 0.6652 0.0290 0.7274
Zr5 0.6705 0.0206 0.2260
Zr6 0.9973 0.3658 0.5982
In1 0.0044 0.3647 0.3952
In2 0.3320 0.7090 0.2600
In3 0.3403 0.7057 0.5664
In4 0.3478 0.6921 0.7589
In5 0.6602 0.0354 0.9328
In6 0.6873 0.0100 0.4298
Si1 0.0047 0.0677 0.4941
Si2 0.0061 0.6654 0.9965
Si3 0.0402 0.9987 0.1636
Si4 0.0439 0.6984 0.6630
Si5 0.2981 0.0699 0.9966
Si6 0.3367 0.9976 0.6638
Si7 0.3402 0.4030 0.1650
Si8 0.3749 0.0333 0.3322
Si9 0.3752 0.3320 0.8306
Si10 0.6341 0.6940 0.1647
Si11 0.6363 0.3989 0.6625
Si12 0.6714 0.7331 0.8312
Si13 0.7058 0.6607 0.4949
Si14 0.7110 0.3647 0.9956
Si15 0.9778 0.7302 0.3305
S1 0.3027 0.3658 0.4961
S2 0.6710 0.3229 0.3300
S3 0.9663 0.0336 0.8303
O1 0.0162 0.1845 0.1555
O2 0.0228 0.5327 0.6563
O3 0.0365 0.5457 0.9386
O4 0.0419 0.1462 0.4355
O5 0.1200 0.7366 0.6043
O6 0.1293 0.8746 0.1073
O7 0.1338 0.8857 0.8257
O8 0.1526 0.9314 0.2228
O9 0.1569 0.6609 0.7220
O10 0.1653 0.8798 0.4997
O11 0.1662 0.7020 0.3255
O12 0.1763 0.6756 0.0007
O13 0.1772 0.3790 0.1575
O14 0.1775 0.1859 0.6559
O15 0.1827 0.1591 0.9377
O16 0.1893 0.2017 0.3317
O17 0.1932 0.3372 0.8330
O18 0.2042 0.3897 0.4422
O19 0.2045 0.1874 0.0531
O20 0.2191 0.3440 0.5485
O21 0.2916 0.9241 0.7217
O22 0.3033 0.5145 0.2238
O23 0.3128 0.8871 0.0007
O24 0.3184 0.5159 0.5012
O25 0.3447 0.5212 0.8257
O26 0.3651 0.8617 0.3280
O27 0.3702 0.4932 0.1076
O28 0.3841 0.8822 0.6058
O29 0.4691 0.2156 0.4935
O30 0.4698 0.0582 0.2745
O31 0.4703 0.2123 0.7735
O32 0.4812 0.0539 0.9963
O33 0.4825 0.0116 0.3921
O34 0.4916 0.2543 0.8887
O35 0.5019 0.7195 0.8261
O36 0.5028 0.0191 0.6709
O37 0.5093 0.2192 0.1693
O38 0.5137 0.7273 0.1077
O39 0.5167 0.4735 0.6050
O40 0.5234 0.4897 0.3259
O41 0.5235 0.6724 0.4998
O42 0.5281 0.5333 0.0003
O43 0.5616 0.6543 0.2238
O44 0.5682 0.5138 0.7206
O45 0.6443 0.8434 0.8898
O46 0.6490 0.8644 0.1682
O47 0.6502 0.2466 0.3844
O48 0.6650 0.2104 0.6708
O49 0.6883 0.2203 0.2778
O50 0.6882 0.8464 0.4968
O51 0.6981 0.1960 0.9929
O52 0.7030 0.8231 0.7737
O53 0.7887 0.5514 0.4356
O54 0.8012 0.3923 0.9373
O55 0.8207 0.5351 0.1576
O56 0.8245 0.3357 0.3312
O57 0.8241 0.3769 0.6555
O58 0.8257 0.0676 0.4933
O59 0.8260 0.3411 0.0532
O60 0.8283 0.5649 0.5515
O61 0.8399 0.5456 0.8331
O62 0.8431 0.8489 0.9918
O63 0.8539 0.8290 0.2740
O64 0.8546 0.0173 0.1690
O65 0.8576 0.8644 0.6699
O66 0.8639 0.0534 0.7775
O67 0.8901 0.0105 0.8837
O68 0.9072 0.8440 0.3896
O69 0.9768 0.5762 0.0536
O70 0.9796 0.1866 0.8327
O71 0.9816 0.5504 0.3323
O72 0.9854 0.1846 0.5517
```

Properties
Its crystal system is triclinic. Its total energy is -845.69 eV/cell. The size of the total moment comes out at 0.0 Bohr magnetons per cell.


Crystalline Na5ZrIn3Si3S3O24 at its relaxed geometry, computed with PBE-GGA.

Geometry as CIF:
```
data_Na5ZrIn3Si3S3O24
_chemical_formula_sum 'Na15 Zr3 In9 Si9 S9 O72'
'''

**Activity:**
Could you set down the part of the material further above that starts with the line with "0.0333 0.3322" and stops after the one with "0.1846 0.5517"?

**Completed:**
Si8 0.3749 0.0333 0.3322
Si9 0.3752 0.3320 0.8306
Si10 0.6341 0.6940 0.1647
Si11 0.6363 0.3989 0.6625
Si12 0.6714 0.7331 0.8312
Si13 0.7058 0.6607 0.4949
Si14 0.7110 0.3647 0.9956
Si15 0.9778 0.7302 0.3305
S1 0.3027 0.3658 0.4961
S2 0.6710 0.3229 0.3300
S3 0.9663 0.0336 0.8303
O1 0.0162 0.1845 0.1555
O2 0.0228 0.5327 0.6563
O3 0.0365 0.5457 0.9386
O4 0.0419 0.1462 0.4355
O5 0.1200 0.7366 0.6043
O6 0.1293 0.8746 0.1073
O7 0.1338 0.8857 0.8257
O8 0.1526 0.9314 0.2228
O9 0.1569 0.6609 0.7220
O10 0.1653 0.8798 0.4997
O11 0.1662 0.7020 0.3255
O12 0.1763 0.6756 0.0007
O13 0.1772 0.3790 0.1575
O14 0.1775 0.1859 0.6559
O15 0.1827 0.1591 0.9377
O16 0.1893 0.2017 0.3317
O17 0.1932 0.3372 0.8330
O18 0.2042 0.3897 0.4422
O19 0.2045 0.1874 0.0531
O20 0.2191 0.3440 0.5485
O21 0.2916 0.9241 0.7217
O22 0.3033 0.5145 0.2238
O23 0.3128 0.8871 0.0007
O24 0.3184 0.5159 0.5012
O25 0.3447 0.5212 0.8257
O26 0.3651 0.8617 0.3280
O27 0.3702 0.4932 0.1076
O28 0.3841 0.8822 0.6058
O29 0.4691 0.2156 0.4935
O30 0.4698 0.0582 0.2745
O31 0.4703 0.2123 0.7735
O32 0.4812 0.0539 0.9963
O33 0.4825 0.0116 0.3921
O34 0.4916 0.2543 0.8887
O35 0.5019 0.7195 0.8261
O36 0.5028 0.0191 0.6709
O37 0.5093 0.2192 0.1693
O38 0.5137 0.7273 0.1077
O39 0.5167 0.4735 0.6050
O40 0.5234 0.4897 0.3259
O41 0.5235 0.6724 0.4998
O42 0.5281 0.5333 0.0003
O43 0.5616 0.6543 0.2238
O44 0.5682 0.5138 0.7206
O45 0.6443 0.8434 0.8898
O46 0.6490 0.8644 0.1682
O47 0.6502 0.2466 0.3844
O48 0.6650 0.2104 0.6708
O49 0.6883 0.2203 0.2778
O50 0.6882 0.8464 0.4968
O51 0.6981 0.1960 0.9929
O52 0.7030 0.8231 0.7737
O53 0.7887 0.5514 0.4356
O54 0.8012 0.3923 0.9373
O55 0.8207 0.5351 0.1576
O56 0.8245 0.3357 0.3312
O57 0.8241 0.3769 0.6555
O58 0.8257 0.0676 0.4933
O59 0.8260 0.3411 0.0532
O60 0.8283 0.5649 0.5515
O61 0.8399 0.5456 0.8331
O62 0.8431 0.8489 0.9918
O63 0.8539 0.8290 0.2740
O64 0.8546 0.0173 0.1690
O65 0.8576 0.8644 0.6699
O66 0.8639 0.0534 0.7775
O67 0.8901 0.0105 0.8837
O68 0.9072 0.8440 0.3896
O69 0.9768 0.5762 0.0536
O70 0.9796 0.1866 0.8327
O71 0.9816 0.5504 0.3323
O72 0.9854 0.1846 0.5517